Link List: Stories Around The Web To Add To Your Reading Agenda

This week’s list of article’s we thought you’d find indispensable!
This [cover] letter is your chance to sell yourself. Don’t plant the seed in my mind that you aren’t the best candidate for the job. You don’t want to be overly cocky, but I’ll take confident over meek any day.
This is an article I just read last night, and it’s been on my mind ever since. For anyone that wants to work in the media (we did just post a new job opportunity at Slate, after all!), this article is required reading. Goldstein’s tips are conversational and ready to enhance whatever resume or cover letter you submit.
I have so much gratitude for being a woman in America. I never lose sight that I was born in the right country, at the right time. And, I never lose sight of the fact that there are millions of women around the world who are not dealt the same deck of cards upon their birth. Simply because of their gender, they are not given the same chance I had to create my own success and follow their dreams. It is for those women that I make this pledge.
### Next to the text, the page also holds records of molecules
~~~
a:
A cluster of 2 separate species, C4H14NO2 in total, computed with ωB97M-V/def2-TZVPD.

Atoms and positions in Å:
C -0.98641 0.59566 0.92277
C -0.66369 1.72781 -0.04859
C 0.07365 1.27533 -1.32633
C 1.18831 0.21783 -1.22861
O 2.01572 0.42436 -0.13171
N -1.56331 -0.61376 0.20992
H -0.07972 0.18052 1.37143
H -1.63927 0.87417 1.73803
H -0.15293 2.53703 0.45058
H -1.64579 2.01191 -0.44968
H -0.65319 0.81605 -2.00387
H 0.47561 2.16143 -1.81334
H 1.74625 0.25186 -2.16823
H 0.76962 -0.80655 -1.26035
H 2.94524 0.17362 -0.19125
H -1.70097 -0.43024 -0.78508
H -0.92285 -1.42043 0.27786
H -2.46910 -0.90919 0.57840
H -0.50644 -2.97908 2.11068
H 0.85259 -2.69014 1.59439
O -0.07994 -2.69595 1.30554

Output
highest occupied orbital energy: -0.5132 Ha
HOMO-LUMO gap: 10.74 eV
charge: +1

b:
A cluster of 3 separate species, C4H14NO2 in total, computed with ωB97M-V/def2-TZVPD.

Atoms and positions in Å:
C -0.29253 -2.71457 0.46068
C -0.12119 -1.46006 -0.38776
C 0.41584 -0.33816 0.47406
C 1.69008 1.70235 0.03336
N 0.87422 0.82094 -0.35915
H -0.32487 -3.64299 -0.09319
H -1.21734 -2.66950 1.03697
H 0.53067 -2.80594 1.16697
H -1.04680 -1.12241 -0.84783
H 0.55071 -1.73589 -1.20268
H 1.33997 -0.61478 0.98398
H -0.31427 -0.09964 1.24336
H 1.77243 1.87480 1.09650
H 2.13621 2.34381 -0.70853
H 0.47758 0.76956 -1.30397
H -0.68784 0.74094 -3.58057
H -1.85658 1.32525 -2.79200
O -1.01627 0.86434 -2.68345
H -1.54323 2.74003 2.45633
H -0.27349 2.11501 2.74642
O -1.09328 1.90691 2.26050

Output
highest occupied orbital energy: -0.5618 Ha
HOMO-LUMO gap: 10.64 eV
charge: +1

Q: Which of them is the most stable? A: a.

a:
A cluster of 2 separate species, C4H14NO2 in total, computed with ωB97M-V/def2-TZVPD.

Atoms and positions in Å:
O 0.76702 -1.46728 -2.26210
C 0.78173 -0.06358 -2.27453
C 1.11779 0.27885 -0.83215
N 0.06014 -0.34436 0.15738
C -1.36601 0.18694 -0.10519
C -2.17737 0.07777 1.22486
H 0.96792 -2.00903 -3.08008
H 1.62222 0.31288 -2.89999
H -0.07177 0.44096 -2.72232
H 2.07027 -0.11269 -0.48002
H 1.08797 1.35026 -0.53916
H 0.52444 -0.30238 1.12529
H -0.15682 -1.29403 0.08668
H -1.31130 1.21656 -0.29986
H -1.67200 -0.35445 -1.04713
H -2.61235 -0.85542 1.62379
H -1.48564 0.35355 2.05337
H -2.90734 0.92284 1.28764
H 0.79224 0.76899 3.43826
H 2.47464 0.30863 2.84694
O 1.49422 0.58496 2.69830

Output
highest occupied orbital energy: -0.5385 Ha
HOMO-LUMO gap: 11.77 eV
charge: +1

b:
A cluster of 2 separate species, C4H14NO2 in total, computed with ωB97M-V/def2-TZVPD.

Atoms and positions in Å:
C -0.33960 -1.65393 0.56884
O 0.61834 -2.39463 -0.18150
C -0.71271 -0.42557 -0.31542
C -0.98269 0.81875 0.53091
C -1.35729 2.03159 -0.31366
N 0.39682 -0.18482 -1.26249
H -1.26128 -2.23295 0.62656
H -0.02112 -1.32956 1.55431
H 0.74765 -3.23640 0.27076
H -1.68297 -0.64321 -0.75576
H -1.77189 0.52549 1.22421
H -0.11508 1.07319 1.10040
H -2.30441 1.86687 -0.82113
H -1.35932 2.92811 0.30243
H -0.53642 2.36884 -0.95542
H 0.14578 0.40562 -2.01341
H 0.70682 -1.06303 -1.65552
~~~
Spanx founder Sarah Blakely and Tory Burch, founder of her eponymous fashion brand, are two women I can get behind with bothy my dollars and my mind. These women are committed to helping other women succeed, and I love their admission of the fact that in this day and age, no one makes it to the top without any help.
In the coming weeks, I challenge you to take Huffington’s advice and be present, wherever you are, whomever you are with. Abandon your cell phone when you’re out with friends, heading to bed, our having quality time with your family. Stop looking at the many screens that surround you and look at the world — be inspired. And then take that energy and create.
I once read an article written by a mother concerned with her kids’ use of media. Placing limits on “screen time” (as she referred to it) included any task that involved a screen–TV, computer, cell phone, iPad, gaming devices, etc. were all included in this umbrella term– allowed her kids to get involved in more interpersonal activity. I’ve thought about this idea ever since, and have occasionally stopped to consider my own screen time. My Dad sometimes jokes that my phone is permanently attached to my hand, and I’ve often thought that because I’m scrolling through The Atlantic’s twitter feed or skimming AP reports that it’s okay to take a break from who I’m with or where I am every so often and distract myself with whatever is going on online. Huffington’s reminder is valuable and I’m doing my best to institute it more often.
It’s not unusual to wake up to a long backlog of e-mails just screaming for your attention. The challenge is taking a moment for yourself before diving head first into your day.
After my alarm sounds whatever Beyonce song I’ve chosen to wake me up in the morning (as of late, this underrated gem), I grab my iPhone from my bedside table and check my e-mail. It’s a terrible habit, but it helps me ease into getting my mind working again and ready to plan for the day. No longer. Before my daily 8 AM classes, maybe I’ll try a few yoga stretches or perhaps a few deep breaths will do the trick, but either way, there’s got to be a more therapeutic way to greet the day.
Figuring out how to be productive with the time that we have and being good stewards of our time. One thing that you learn as an entrepreneur is that you can’t do it all in one day. It’s definitely a marathon and not a short race.
Plugging two Her Agenda articles in the same post might seem like shameless self-promotion, but this interview really spoke to me. Outside of a year of doing weekly Zumba classes in high school, I’ve never really worked out consistently. I eat fairly healthily and have a fast metabolism and a naturally thin frame, but reading this interview has really inspired me to get back into yoga, try a new barre class, and (of course) kick butt at time management.